Forrester: digital home not where the heart is

8 Apr 2004

== Between two parts of the piece: quantum chemistry results ==
/*
{
  "formula": "C30H23ClN4OsPSSe4",
  "method": "wB97M-V/def2-TZVPD",
  "elements": ["Os", "Se", "Se", "Se", "Se", "Cl", "C", "C", "C", "C", "C", "C", "P", "C", "C", "C", "C", "C", "C", "C", "C", "C", "C", "C", "C", "H", "H", "H", "H", "H", "H", "H", "H", "H", "H", "H", "H", "H", "H", "S", "C", "N", "C", "C", "N", "C", "C", "C", "C", "C", "C", "C", "C", "N", "C", "N", "H", "H", "H", "H", "H", "H", "H", "H", "H"],
  "xyz": [[-0.401, 0.803, 0.241], [-1.102, -1.424, 3.029], [0.913, -1.871, 3.520], [2.075, -1.620, 1.523], [0.607, -1.398, -0.193], [1.776, 1.780, -0.127], [1.634, 2.673, -1.645], [2.636, 3.573, -1.959], [2.516, 4.306, -3.128], [1.416, 4.128, -3.959], [0.447, 3.194, -3.635], [0.545, 2.444, -2.462], [-0.735, 1.222, -1.982], [-2.263, 2.161, -2.305], [-2.648, 3.073, -1.321], [-3.777, 3.856, -1.488], [-4.540, 3.728, -2.641], [-4.161, 2.831, -3.628], [-3.025, 2.049, -3.464], [-0.635, -0.044, -3.284], [0.534, -0.238, -4.013], [0.604, -1.247, -4.966], [-0.485, -2.077, -5.184], [-1.640, -1.916, -4.429], [-1.714, -0.910, -3.481], [3.489, 3.698, -1.306], [3.286, 5.018, -3.389], [1.314, 4.720, -4.858], [-0.401, 3.039, -4.291], [-2.043, 3.181, -0.424], [-4.061, 4.565, -0.722], [-5.429, 4.330, -2.770], [-4.747, 2.741, -4.533], [-2.734, 1.358, -4.243], [1.395, 0.395, -3.844], [1.512, -1.381, -5.537], [-0.431, -2.857, -5.931], [-2.485, -2.575, -4.580], [-2.623, -0.789, -2.902], [0.325, 1.995, 4.827], [0.022, 1.522, 3.343], [-0.222, 1.130, 2.250], [-4.534, 0.489, 1.418], [-3.196, 0.805, 1.308], [-2.355, 0.110, 0.522], [-2.842, -0.932, -0.161], [-4.177, -1.299, -0.134], [-5.038, -0.562, 0.672], [-4.711, -2.341, -1.037], [-4.249, -3.559, -1.322], [-3.136, -4.322, -0.720], [-2.853, -5.591, -1.208], [-1.880, -6.324, -0.555], [-1.224, -5.847, 0.500], [-1.541, -4.609, 0.860], [-2.455, -3.819, 0.314], [-5.169, 1.076, 2.065], [-2.762, 1.622, 1.870], [-2.138, -1.485, -0.762], [-6.088, -0.821, 0.723], [-5.624, -2.044, -1.544], [-4.804, -4.123, -2.063], [-3.377, -5.990, -2.065], [-1.617, -7.324, -0.877], [-0.989, -4.203, 1.701]],
  "mulliken_charge": [0.672, 0.210, 0.076, -0.068, -0.002, -0.201, 1.168, -0.726, -0.439, -0.870, -0.192, -0.849, 1.359, 0.785, -0.679, -0.770, -0.591, -0.750, -0.259, 0.558, -0.797, -0.740, -0.697, -0.991, -0.512, 0.486, 0.410, 0.429, 0.439, 0.331, 0.460, 0.424, 0.457, 0.499, 0.435, 0.448, 0.419, 0.482, 0.783, -0.299, 0.459, -0.316, -1.129, -0.166, 0.144, 0.133, 0.103, -0.797, -1.091, -0.572, 1.222, -0.765, -0.245, -0.588, 0.028, -0.166, 0.512, 0.506, 0.406, 0.589, 0.459, 0.376, 0.392, 0.423, 0.184],
  "e_above_lowest_kcal_mol": 35.91,
  "e_tot_ev": -333937.65784,
  "charge": 1
}

---

{
  "formula": "C33H38BrN5O3Pb",
  "method": "wB97M-V/def2-TZVPD",
*/
== End of the quantum chemistry results ==

Visions of a digital home, where all kinds of household consumer devices communicate with the user and with each other, are very premature according to Forrester Research.

The promise of a single networking environment where entertainment, communications and applications can all be controlled and shared has been branded a myth by the technology analyst firm.

“We’re not there yet – not even close,” said Chris Charron, devices, media and marketing group director of Forrester. He cited “paltry” figures that show just 2.1 million households in the US and 2 million in Western Europe are using digital home applications. “Of the five technology building blocks of the digital home, the network is farthest along. Processing intelligence and content have a long way to go. If you have visions of consumers using remote technologies to control the security and lighting in their home via a home network, leave those ideas to your imagination for now,” said Charron.

Many prominent companies in the consumer entertainment, mobile and PC sectors are betting on a future where connected homes are a part of everyday life. For example, the Digital Home Working Group is an industry forum with a membership roster that includes Sony, Intel, Microsoft, Panasonic, Nokia, IBM, Kenwood, Samsung and HP. The group’s credo is that industry collaboration must encompass manufacturers, software and application developers, and service and content providers.

Forrester does not dismiss the concept totally out of hand, saying that it will happen, but the firm does not pin itself down to naming a date in the near term. It has forecast that four years from now, the number of US households with home networks will have increased to 37 million. The next stage in the process will see the maturing of applications and content on those networks, followed by changes in business and consumer behaviour.

According to Charron, there are defining characteristics to every technology shift. Just as the printing press allowed mass communication and the telegraph divorced communication from transportation, broadcasting allowed instantaneous mass communication and the internet provided a two-way channel of communication. “The defining characteristic of the digital home is the liberation of experiences from technology,” said Charron. “For the first time, interoperability, networked devices, and cheap storage will unmoor content and applications from particular devices, distribution channels, and locations.”

Allied to this trend, other elements underpinning the digital home must be in place, Forrester suggested. Companies in the distribution business (hardware or wires) must create “experiences” – that means device manufacturers companies such as HP and Dell, or cable and telecoms providers will need to move further into developing exclusive services or content, such as home network service and monitoring, video search, and command-and-control applications.

• Calculated molecules that have nothing to do with the entry:
........
Record 1
DFT (ωB97M-V with the def2-TZVPD basis set) results for an isolated molecule of C5H10O.

```
16
C5H10O, DFT ωB97M-V with the def2-TZVPD basis set
C -0.59375 1.91208 0.14979
C -0.69559 0.49404 0.71227
C -0.03237 -0.62741 -0.09884
C 1.02722 -0.31574 -1.13999
C 0.14849 -1.92538 0.54304
O -0.92321 -1.72035 -0.36351
H -1.08088 2.00947 -0.82712
H 0.44774 2.23349 0.04394
H -1.08219 2.61651 0.83207
H -1.75338 0.22453 0.82294
H -0.27167 0.48493 1.72324
H 0.95543 0.68512 -1.56788
H 2.00695 -0.41015 -0.65647
H 0.98827 -1.05864 -1.94344
H -0.06887 -2.01348 1.60579
H 0.92783 -2.58904 0.16416
```

Energy, eV: -7393.394
SMILES: CC[C@@]1(C)CO1
Multiplicity: 1

Record 2
DFT (ωB97M-V with the def2-TZVPD basis set) results for an isolated molecule of C5H10O in a non-equilibrium geometry.

```
16
C5H10O, DFT ωB97M-V with the def2-TZVPD basis set
C 0.09222 0.48453 -0.78240
C -1.57429 0.31110 0.99753
C -0.26672 -0.60972 -1.78890
C 1.10957 0.03954 0.21773
C 1.97851 -0.31368 1.16247
O -1.12283 0.97833 -0.17857
H 0.49588 1.32605 -1.35988
H 0.85846 0.97474 0.77105
H -2.62062 0.57907 1.16228
H -1.01344 0.67019 1.86866
H -1.49208 -0.77619 0.91700
H 0.51188 -0.70258 -2.55474
H -0.38303 -1.58806 -1.31098
H -1.21355 -0.38303 -2.29358
H 1.90862 0.08564 2.17554
H 2.73140 -1.07595 0.99680
```

Energy, eV: -7390.852
SMILES: C=C[C@@H](C)OC
Multiplicity: 1

Record 3
DFT (ωB97M-V with the def2-TZVPD basis set) results for a structure of composition C5H10O in a non-equilibrium geometry.

```
16
C5H10O, DFT ωB97M-V with the def2-TZVPD basis set
C -2.22048 -0.22433 0.20438
C -0.85602 0.13646 -0.40426
O -0.68242 1.47184 -0.75838
C 0.31624 -0.00784 0.54370
C 1.44856 -0.87952 0.38102
C 1.75203 0.46733 -0.29731
H -2.43018 0.36901 1.10047
H -2.28679 -1.29351 0.46176
H -2.99992 -0.00706 -0.53296
H -0.68833 -0.55472 -1.25700
H 0.54190 1.35512 -0.68399
H 0.19863 0.57194 1.46724
H 2.05905 -1.10912 1.23926
H 1.31820 -1.68006 -0.33595
H 2.04539 0.29635 -1.35171
H 2.48415 1.08811 0.22373
```

Energy, eV: -7391.537
Multiplicity: 1

Record 4
DFT (ωB97M-V with the def2-TZVPD basis set) results for an isolated molecule of C5H10O.

```
16
C5H10O, DFT ωB97M-V with the def2-TZVPD basis set
C 1.07170 -0.52951 -1.05905
C 0.39628 1.46488 0.87976
C 0.18791 0.04430 1.09619
O -0.69764 0.99778 1.66698
C -0.13838 -0.76477 -0.14422
C -1.48271 -0.40590 -0.77133
H 1.98915 -0.85404 -0.55275
H 1.21520 0.53110 -1.29812
H 0.97466 -1.06230 -2.00321
H 1.25033 1.96004 1.33389
H 0.08920 1.88215 -0.07902
H 0.80366 -0.45373 1.84745
H -0.16026 -1.83080 0.10993
H -1.58142 0.66534 -0.97350
H -2.31209 -0.68538 -0.11401
H -1.60998 -0.93624 -1.72058
```

Energy, eV: -7393.264
SMILES: CC(C)[C@H]1CO1
Multiplicity: 1

Record 5
DFT (ωB97M-V with the def2-TZVPD basis set) results for a cluster of 2 separate species, C5H10O in total.

```
16
C5H10O, DFT ωB97M-V with the def2-TZVPD basis set
C 1.97099 -0.63209 -0.46369
C 1.39547 0.70443 -0.09202
C 0.77657 0.97385 1.05439
C -2.07609 0.32053 0.44069
C -1.70540 -0.70225 -0.60094
........

The second part of this theory puts engagement at a premium. “With so many options for content and applications, measuring the gross use – ie, reach and frequency of traditional media – is next to useless. Mobile phones and the PC have already had a huge impact on consumer multitasking for traditional media – especially the TV,” said Charron.

The vision of a digital home will also mean the end for traditional human-to-machine interfaces such as mice, keyboards, links and universal remotes. “We see that the only way to achieve this complexity of interaction with ease of use for a mass audience is through a voice-enabled universal browser,” Charron predicted.

Lastly, the concept will rely on power. Simply put, batteries and backup generators will take off. “In a world of wired homes, the power grid rises in importance,” Charron observed. “Without stocks of powerful batteries and back-up generators, consumers will flail, as they did in the latest East Coast power outage when people were shocked to find that their cordless phones ran out of gas, and the office toilets didn’t flush because they had been replaced by movement-sensing automatic flushers… it all comes back to the banalities of daily life.”

• The page is interrupted by quantum chemistry results:
/*
This record from OMol25 describes 16 unconnected molecules or ions with the total composition H32O16 in a non-equilibrium geometry. The level of theory is ωB97M-V with the def2-TZVPD basis set.

Frontier orbital gap (alpha / beta), eV: 2.252 / 10.363
Charge: -1
Energy relative to the best compared isomer or geometry (same formula, charge and spin), eV: 1.437
Multiplicity: 2
Expectation value of S²: 0.75
LUMO energy (alpha / beta), hartree: 0.0845 / 0.0851
DFT total energy, eV: -33278.2551

Each atom is followed by the atoms it is bonded to, with distances in Å.
CARTESIAN COORDINATES (ANGSTROEM)
1 O 0.464 -2.755 3.656  H2 0.968, H3 0.987
2 H 0.470 -3.527 3.072  O1 0.968
3 H -0.476 -2.811 3.953  O1 0.987
4 O -4.009 -0.819 -1.734  H5 0.955, H6 1.010
5 H -3.254 -0.538 -2.248  O4 0.955
6 H -4.049 -1.802 -1.964  O4 1.010
7 O -0.320 0.042 -6.295  H8 0.955, H9 0.955
8 H -0.011 0.928 -6.120  O7 0.955
9 H 0.189 -0.671 -5.914  O7 0.955
10 O 0.784 1.733 2.084  H11 0.991, H12 0.979
11 H 0.612 2.693 2.257  O10 0.991
12 H 1.049 1.956 1.168  O10 0.979
13 O -3.512 -3.347 -2.797  H14 0.964, H15 0.962
14 H -3.032 -4.053 -2.348  O13 0.964
15 H -3.640 -3.557 -3.727  O13 0.962
16 O -2.157 -3.079 3.531  H17 0.969, H18 0.963
17 H -2.043 -2.999 2.572  O16 0.969
18 H -1.847 -3.973 3.708  O16 0.963
19 O -2.174 0.407 2.665  H20 0.960, H21 0.960
20 H -1.346 0.307 2.190  O19 0.960
21 H -2.361 -0.451 3.050  O19 0.960
22 O -1.212 -0.612 -2.762  H23 0.961, H24 0.961
23 H -1.028 -0.886 -3.665  O22 0.961
24 H -0.891 0.280 -2.604  O22 0.961
25 O 2.844 4.822 -2.173  H26 0.982, H27 0.970
26 H 2.125 4.202 -1.920  O25 0.982
27 H 3.602 4.264 -2.407  O25 0.970
28 O -2.672 -1.549 0.350  H29 0.966, H30 0.991
29 H -3.571 -1.902 0.379  O28 0.966
30 H -2.676 -1.241 -0.591  O28 0.991
31 O -0.911 3.739 -0.286  H32 0.957, H33 0.965
32 H -1.562 3.316 0.273  O31 0.957
33 H 0.017 3.947 -0.120  O31 0.965
34 O 1.543 2.929 -0.572  H35 0.970, H36 0.981
35 H 0.634 2.611 -0.691  O34 0.970
36 H 2.034 2.191 -0.992  O34 0.981
37 O -0.364 0.600 -0.340  H38 0.959, H39 0.984
38 H -0.949 0.845 0.379  O37 0.959
39 H -0.487 -0.370 -0.450  O37 0.984
40 O 3.486 -1.590 2.645  H41 0.954, H42 0.960
41 H 4.097 -2.278 2.894  O40 0.954
42 H 2.558 -1.786 2.495  O40 0.960
43 O 4.173 2.161 3.377  H44 0.962, H45 0.959
44 H 3.655 1.535 2.862  O43 0.962
45 H 3.901 1.967 4.276  O43 0.959
46 O 4.096 -0.275 -0.691  H47 0.961, H48 0.955
47 H 3.721 0.430 -0.155  O46 0.961
48 H 4.501 -1.032 -0.272  O46 0.955
*/

By Gordon Smith